As Shelley declared in Frankenstein,
Nothing is so painful to the human mind as a great and sudden change.
Yet we, on our high horses as masters of the world, often ignore the tell-tale signs of impending change nature keeps leaving around us. And end up waking one day wondering what got us here, so far from where we started. How do these changes happen?
Take, for example, desertification. Many lines of evidence suggest that desertified land was once filled with a lush green cover. Indiscriminate cutting of trees and increasing wind and water runoff eroded fertile remains of the topsoil, making the ground too harsh to be recolonised by perennial seedlings.
Though the factors of change might have been at work for hundreds of years, the change, when it happened, was sudden and abrupt compared to the centuries of stagnation that preceded it. That being the way of change, it becomes imperative that we learn to understand and predict some of these changes happening around us in order to embrace them better or even work on preventing unwanted ones.
It was only around 2009 that Marten Scheffer, a Dutch ecologist and mathematical biologist, came out with one of the first papers on critical transitions, which seeks to explain these changes. Hence started a flurry of research on this extremely interesting and useful field, which can have applications as varied as preventing large-scale ecological transitions like desertification or predicting the exact moment when a pathogen outbreak will occur in a threatened system.
A majority of natural systems have multiple states of equilibria at any given point. When a drastic change occurs from one state to a contrasting one abruptly due to a small change in a parameter, it is called a critical transition.
Critical transitions are of great interest not only in natural systems in ecology but also in systems in engineering, medicine, finance, economics etc. Such studies are important because switches to a contrasting alternative stable state can often have drastic consequences. For example, the loss of transparency and vegetation observed in shallow lakes subject to human-induced eutrophication. As the nutrient concentration passes a critical threshold, the lake shifts abruptly from clear to turbid.
In epidemiology, critical transitions are of relevance to the emergence of new pathogens and the re-emergence of old ones. An intervention may cause the host-pathogen trajectory to cross a critical transition where pathogen prevalence drops to apparent eradication, the robustness of which is strongly determined by the structure of the transition.

In financial markets, these critical points are connected to systemic risks, which have led to a financial crisis in the past. Critical transitions are present in a variety of engineering systems such as an aeroelastic model exposed to gusts.
Hence it is pretty evident that the study of critical transitions is important not only to prevent unwanted transitions but also to have a greater understanding of the changes that occur around us.
Dynamically, critical transitions are represented by bifurcations, that is, qualitative changes in spatio-temporal behaviour caused by small changes in parameters.
There are different kinds of bifurcations, called by different names in mathematics and physics, which give rise to critical transitions in varied systems. Work on critical transitions has two main avenues- working on a temporal scale and a spatial scale. So far, most of the work has focused on studying early-warning signals, which are certain trends in systemic properties that appear as a tipping point( point of critical transition) is approached. These early-warning signals are mostly an increase in auto-correlation, an increase in variance and a slower recovery from perturbations.
The phenomenon of critical slowing down( systems take an increasingly longer time to recover from perturbations as a bifurcation is approached) has been extensively used to study other early-warning signals which can predict an impending transition.
Cases studied are as varied as systems in ecology such as global climate-carbon cycle models which predict loss of soil carbon under global warming to studying super-infection in malaria transmission models or using bifurcation-based sensing approaches in piezoelectric impedance-based structural health monitoring.
<<<
DFT (PBE) results for Li3TlHg2 after structural relaxation.

- DOS(E_F) (states/eV/f.u.) = 1.321
- ΔE_f (meV/atom) = -329

CIF file:
```
data_Li3TlHg2
_space_group_name_H-M_alt 'P 1'
_space_group_IT_number 1
_space_group_name_Hall 'P 1'
_cell_length_a 3.313
_cell_length_b 3.313
_cell_length_c 10.510
_cell_angle_alpha 90.00
_cell_angle_beta 90.00
_cell_angle_gamma 90.00
loop_
_atom_site_label
_atom_site_type_symbol
_atom_site_fract_x
_atom_site_fract_y
_atom_site_fract_z
Hg1 Hg 0.500 0.500 0.160
Hg2 Hg 0.500 0.500 0.840
Tl1 Tl 0.500 0.500 0.500
Li1 Li 0.000 0.000 0.683
Li2 Li 0.000 0.000 0.000
Li3 Li 0.000 0.000 0.317
```

***

DFT (PBE) results for LiTl2Hg2 after structural relaxation.

- energy above the most stable polymorph in this dataset (eV per formula unit) = 0.612
- DOS(E_F) (states/eV/f.u.) = 2.723
- ΔE_f (meV/atom) = 46

CIF file:
```
data_LiTl2Hg2
_space_group_name_H-M_alt 'P 1'
_space_group_IT_number 1
_space_group_name_Hall 'P 1'
_cell_length_a 4.464
_cell_length_b 4.464
_cell_length_c 8.181
_cell_angle_alpha 74.17
_cell_angle_beta 74.17
_cell_angle_gamma 90.00
loop_
_atom_site_label
_atom_site_type_symbol
_atom_site_fract_x
_atom_site_fract_y
_atom_site_fract_z
Hg1 Hg 0.407 0.407 0.186
Hg2 Hg 0.593 0.593 0.814
Tl1 Tl 0.250 0.750 0.500
Tl2 Tl 0.750 0.250 0.500
Li1 Li 0.000 0.000 0.000
```

***

Summary of spin magnetization in μB per formula unit
0.000 0.000
(order as listed above)
Summary of mass density in g/cm³
9.02 9.02
(order as listed above)
>>>
Early-warning signals have been particularly useful in the field of finance to predict critical transitions such as a stock market collapse. In a topology data analysis based method, time-series of multiple stock prices have been used to build time-dependent correlation networks, which exhibit topological structures.
The persistent homology associated with these structures has been used to track the changes in topology when approaching a critical transition. This method has been successfully applied in a case study to investigate a portfolio of stocks during a period prior to the US financial crisis of 2007-2008 and show the presence of early signs of the critical transition.
In living systems, model-less forecasting methods have been used to forecast an impending transition, like in a yeast population which exhibits a critical transition as the environment deteriorates. This method uses the phenomenon of critical slowing down to find a relation between recovery rates of the system as it recovers from perturbations to distance in parameter space to the tipping point.

By measuring time-series of the system as it recovers from perturbations at two parameter values in the pre-bifurcation regime, it has been able to predict the parameter value (dilution factor here) at which bifurcation will occur, that is, yeast population will become extinct. The method has been justified by experimental data.
However, most of the work done so far is retrospective in nature, that is, it talks about early-warning signals and their trends only after a critical transition is breached and we have a wholesome understanding of the system dynamics. To prevent unwanted transitions from occurring, we need to be able to predict them beforehand, even before entering the bifurcation regime, which is what current research focuses on.
For this purpose, several model-less approaches have been proposed, each with their individual drawbacks. Further avenues of research lie in finding a unified method that works for real data under stochastic external noise and not just controlled simulated experiments. They should then be extended to the spatial scale so that we can ultimately start working on sustainable management practices in ecosystems, for example, to prevent catastrophic shifts and focus on maintaining resilience.
Such studies can lead to tremendous booms in the business market if we are able to accurately forecast stock market trends. Relevant technologies can be built for sustainable management of ecosystems which focus on reducing the loss of resilience. They are already of relevance to a variety of engineering systems.
# 1
Compound: UTiSb
Source: Alexandria via LeMat-Bulk
Functional: PBE-GGA
Structure: optimized geometry

The space group is P-6m2 (No. 187) and the conventional cell measures 4.7389, 4.7389 and 3.5300 Å, with angles of 90.00, 90.00 and 120.00 degrees. The asymmetric unit holds U at (0.0000, 0.0000, 0.0000), Ti at (0.6667, 0.3333, 0.5000) and Sb at (0.3333, 0.6667, 0.5000).

=====

# 2
Compound: InSbPt2
Source: Alexandria via LeMat-Bulk
Functional: PBE-GGA
Structure: optimized geometry

The space group is Pbcm (No. 57) and the conventional cell measures 8.4543, 7.1614 and 5.5393 Å, with angles of 90.00, 90.00 and 90.00 degrees. The asymmetric unit holds In at (0.1208, 0.0928, 0.2500), Sb at (0.3708, 0.5795, 0.2500), Pt at (0.1328, 0.7500, 0.0000) and Pt at (0.3824, 0.2500, 0.0000).

=====

# 3
Compound: Sm4DyEr
Source: Alexandria via LeMat-Bulk
Functional: PBE-GGA
Structure: optimized geometry

The space group is P-1 (No. 2) and the conventional cell measures 3.5897, 6.2186 and 9.5033 Å, with angles of 77.34, 79.23 and 73.48 degrees. The asymmetric unit holds Sm at (0.1659, 0.0004, 0.1676), Sm at (0.1656, 0.5019, 0.6663), Dy at (0.5000, 0.5000, 0.0000) and Er at (0.5000, 0.0000, 0.5000).

The formation energy comes out at 16.4 meV/atom.

=====

| no. | raw total energy (eV per atom) |
| --- | --- |
Epidemiological work can branch out towards malaria and cancer research. The most interesting aspect about this field is that the same underlying principles can be applied to a variety of disciplines, which, of course, is the entire point of inter-disciplinary science. Change might be the only constant but controlling and mastering these changes may effectively make us masters of our own destiny.
Written By Koushiki Das Gupta